Sex Crimes

Any criminal charge is a potentially life-changing event, but the consequences of a sex crime conviction are, in many respects, more severe than those for most other charges. Not only jail time and heavy fines, but also permanent sex registration and loss of certain civil rights, like the right to own a firearm, are at stake - underscoring the importance of facing sex crimes charges only with the best possible legal representation on your side.

California has a wide variety of sex crimes on the books, and these vary widely in the severity of associated penalties and require specialized defense strategies. At Darwish Law, we have the depth and breadth of experience to build your defense from the ground up to custom-fit the exact details of your case. We have helped numerous others accused of sex crime violations in Santa Ana, California, the whole Los Angeles Area, and beyond - and we stand ready to do the same for you!

Contact Darwish Law anytime 24/7/365 by calling 714-887-4810 for a free legal consultation and immediate attention to your case!

How Are “Sex Crimes” Defined Under California Law?

Sex crimes can be misdemeanors or felonies under the California Penal Code, and some sex crimes can be either (called “wobblers”) with the charge level varying based on the severity of the case. Everything from indecent public exposure to possession of child pornography to sexual abuse and rape falls under the very broad rubric “sex crime.”

Any criminal offense that involves sexual contact or the threat of sexual contact of any kind can be a sex crime. In general, sex acts must be nonconsensual to constitute a crime, but statutory rape is an exception, as are other sex crimes involving a minor since minors are not considered to be capable of legally giving consent. And prostitution, solicitation, indecent exposure, and some other sex crimes are not focused on the matter of consent.

Here are some examples of the most common California sex crimes: child sexual abuse, lewd acts with a child, possession of child pornography, rape, statutory rape, indecent exposure, lewd conduct in public, oral copulation by force, sexual assault and/or battery, prostitution or solicitation to prostitution, and failure to register as a sex offender. See our Web pages on individual sex crimes on this website for more information on each particular sex crime.

The mere accusation of a sex crime can be devastating to one’s reputation, but a conviction can mean years in state prison, thousands of dollars in fines, mandatory sex registration with the state for life, and more. A felony sex crime conviction may cancel your firearm rights, eliminate the possibility of expungement, and force you to reveal your record when applying for a job - making it difficult to live a “normal life” in the years ahead.

Minimum Sentencing For Sex Crimes In California

While many sex crimes can get you multiple years in state prison - even life in prison for extreme violations, California now has set mandatory minimums for many classes of sex crimes as well. Almost always, serious sex crimes require prison time or jail time - a felony sex crime automatically gets at least a year of time in the state prison system, and usually more. For rape, the minimum is 3 years in state prison.

Here the entry breaks off for records of crystals:
********
# Gd3Mg3TlZnCd
Computed X-ray diffraction stick pattern, a wavelength of 1.5418 Å. Input: a cell relaxed with PBE.
Lines closer than 0.1° are merged.

The 10 most intense peaks (5 to 70 degrees two-theta), most intense first:
| 2θ (°) | d/Å | I (rel.) |
| --- | --- | --- |
| 33.8 | 2.652 | 100.0 |
| 30.8 | 2.907 | 65.4 |
| 38.9 | 2.315 | 25.2 |
| 23.8 | 3.735 | 24.4 |
| 66.1 | 1.413 | 22.9 |
| 13.7 | 6.469 | 22.6 |
| 27.6 | 3.235 | 21.9 |
| 41.8 | 2.162 | 21.2 |
| 36.8 | 2.445 | 20.8 |
| 54.9 | 1.673 | 20.3 |

Crystal structure
a b c (Å): 7.4703 7.4703 4.6304
angles (deg): 90.00 90.00 120.00
Space group P-6 (No. 174)
Symmetry-distinct sites (fractional):
1 Gd 0.0095 0.4300 0.0000 x3
2 Mg 0.0126 0.7625 0.5000 x3
3 Tl 0.6667 0.3333 0.5000 x1
4 Zn 0.3333 0.6667 0.5000 x1
5 Cd 0.0000 0.0000 0.0000 x1

---

# Y2HoAl
Computed X-ray diffraction stick pattern, a wavelength of 1.5418 Å. Input: a cell relaxed with PBE.
Lines closer than 0.1° are merged.

The 10 most intense peaks (5 to 70 degrees two-theta), most intense first:
| 2θ (°) | d/Å | I (rel.) |
| --- | --- | --- |
| 32.6 | 2.750 | 100.0 |
| 32.9 | 2.718 | 41.4 |
| 35.9 | 2.500 | 25.3 |
| 34.1 | 2.631 | 23.9 |
| 22.3 | 3.982 | 22.3 |
********

Unlike in the past, the judge cannot give out shorter, more lenient sentences for sex crimes, like sometimes happened in the past. The judges’ hands are also ties as to suspended sentences and probation when it comes to certain sex crimes like rape, forced oral copulation, or penetration by a foreign object. The overall result of these recent changes in the California Penal Code is that many sentences will be longer and more severe for sex offenses, and the more heinous crimes will tend to be punished more now too since there has to be a proportion between the minimums and the maximums.

Sex crimes committed against those under 18 years old but at least 14 now receive a minimum sentence of 7 years and up to 11 years. For crimes against those under 14, the prison term range is 9 to 13 years. Obviously, you need top-tier criminal defense against sex crimes charges in California now more than ever - Darwish law has to expertise to maximize your chances of winning a dismissal, acquittal, or a reduced charge and/or sentence via a favorable plea deal.

Other Consequences Of A Sex Crime Conviction

Aside from prison time, there are many other sentencing elements that may apply to a sex crime conviction in California. There is a minimum fine of $2,000 for many sex offenses, and fines can rise as high as $25,000. Fines are used in part to give compensation to the victims but also are meant to be punitive. Full restitution must also be made to the victim, on top of any fine.

For felony sex crimes, you have to reveal the conviction to any and all potential employers as well. This is a huge setback to one’s career since it will be difficult to find gainful employment. And you won’t be eligible for expungement to “clean up” your record. Felony sex crime convicts also lose the right to bear arms and the right to vote while still incarcerated or out on parole. You can still vote while on probation, however, and voting rights return following successful completion of parole.

Depending on the severity of the crime, those convicted must complete parole (most serious) or probation. During parole, most rights are gone or severely limited - it is just like being in jail out of jail. You have to report to your parole officer regularly, avoid all other criminal charges, stay within a designated geographical area, and avoid all violations of parole terms or face immediate return to jail or prison.

Probation can be assigned, with or without supervision, for sex crimes not severe enough to merit parole. (The most serious crimes, of course, require state prison without the possibility of parole.) Probation is similar to parole in most ways, but it just isn’t quite as stringent and limiting.

Mandatory Sex Offender Registration

The worst aspect of sex crime sentencing, in the opinion of most, is the requirement for all convicted to register as a sex offender Under PC 290. Being in the state sex offender registry can make it difficult to get a good job, lease an apartment, be accepted for college or grad school enrollment, and otherwise lead a normal life.

┌──
Starting from a crystal structure in the Materials Project, relaxed with GGA-PBE, the PXRD pattern of BaY2S4 was calculated for Cu Kα X-rays.

Structural model:
```
data_BaY2S4
_chemical_formula_sum 'Ba4 Y8 S16'
_cell_length_a 12.332
_cell_length_b 4.061
_cell_length_c 14.603
_cell_angle_alpha 90.00
_cell_angle_beta 90.00
_cell_angle_gamma 90.00
_symmetry_space_group_name_H-M 'P n m a'
_symmetry_Int_Tables_number 62
loop_
_symmetry_equiv_pos_as_xyz
'x,y,z'
'-x,-y,-z'
'-x+1/2,-y,z+1/2'
'x+1/2,y,-z+1/2'
'x+1/2,-y+1/2,-z+1/2'
'-x+1/2,y+1/2,z+1/2'
'-x,y+1/2,-z'
'x,-y+1/2,z'
loop_
_atom_site_label
_atom_site_type_symbol
_atom_site_fract_x
_atom_site_fract_y
_atom_site_fract_z
Ba1 Ba 0.242 0.250 0.162
Y1 Y 0.067 0.250 0.391
Y2 Y 0.079 0.250 0.898
S1 S 0.022 0.750 0.783
S2 S 0.081 0.250 0.577
S3 S 0.124 0.750 0.023
S4 S 0.207 0.750 0.336
```

Top 8 peaks for 15° ≤ 2θ ≤ 90°, low angle first:
Position (°2θ), I/Imax, (hkl)
24.4, 44, 0 0 4
24.9, 100, 3 0 2
26.1, 40, 1 1 2
29.6, 81, 1 1 3
31.5, 58, 4 0 2
36.2, 64, 2 1 4
44.0, 34, 6 0 0
44.6, 35, 0 2 0

***

Starting from a crystal structure in the Materials Project, relaxed with GGA-PBE, the PXRD pattern of Ba2ZnS3 was calculated for Cu Kα X-rays.

Structural model:
```
data_Ba2ZnS3
_chemical_formula_sum 'Ba8 Zn4 S12'
_cell_length_a 12.171
_cell_length_b 4.259
_cell_length_c 12.752
_cell_angle_alpha 90.00
_cell_angle_beta 90.00
_cell_angle_gamma 90.00
_symmetry_space_group_name_H-M 'P n m a'
_symmetry_Int_Tables_number 62
loop_
_symmetry_equiv_pos_as_xyz
'x,y,z'
'-x,-y,-z'
'-x+1/2,-y,z+1/2'
'x+1/2,y,-z+1/2'
'x+1/2,-y+1/2,-z+1/2'
'-x+1/2,y+1/2,z+1/2'
'-x,y+1/2,-z'
'x,-y+1/2,z'
loop_
_atom_site_label
_atom_site_type_symbol
_atom_site_fract_x
_atom_site_fract_y
_atom_site_fract_z
Ba1 Ba 0.010 0.250 0.175
Ba2 Ba 0.174 0.250 0.517
Zn1 Zn 0.245 0.750 0.303
S1 S 0.060 0.750 0.360
S2 S 0.135 0.250 0.946
S3 S 0.225 0.750 0.707
```

Top 8 peaks for 15° ≤ 2θ ≤ 90°, low angle first:
Position (°2θ), I/Imax, (hkl)
22.2, 55, 1 0 3
23.0, 63, 3 0 1
26.2, 67, 1 1 2
26.5, 73, 2 1 1
29.2, 54, 2 1 2
30.6, 100, 1 1 3
41.8, 56, 3 0 5
42.5, 64, 0 2 0

***

Starting from a crystal structure in the Materials Project, relaxed with GGA-PBE, the PXRD pattern of Ba2ZnS3 was calculated for Cu Kα X-rays.

Structural model:
```
data_Ba2ZnS3
_chemical_formula_sum 'Ba8 Zn4 S12'
_cell_length_a 8.910
_cell_length_b 4.300
_cell_length_c 17.204
_cell_angle_alpha 90.00
_cell_angle_beta 90.00
_cell_angle_gamma 90.00
_symmetry_space_group_name_H-M 'P n m a'
_symmetry_Int_Tables_number 62
loop_
_symmetry_equiv_pos_as_xyz
'x,y,z'
'-x,-y,-z'
'-x+1/2,-y,z+1/2'
'x+1/2,y,-z+1/2'
'x+1/2,-y+1/2,-z+1/2'
'-x+1/2,y+1/2,z+1/2'
'-x,y+1/2,-z'
'x,-y+1/2,z'
loop_
_atom_site_label
_atom_site_type_symbol
_atom_site_fract_x
_atom_site_fract_y
_atom_site_fract_z
Ba1 Ba 0.081 0.250 0.213
Ba2 Ba 0.247 0.250 0.956
Zn1 Zn 0.135 0.250 0.635
S1 S 0.007 0.750 0.602
S2 S 0.130 0.750 0.072
S3 S 0.180 0.250 0.771
```

Top 8 peaks for 15° ≤ 2θ ≤ 90°, low angle first:
└──

In recent years, a three-tier system has been set up in regard to sex offender registration. The lowest tier is for the least severe class of sex crimes and only requires sex registration for a 10-year period. The middle tier requires registration for 20 years. And the top tier, reserved for violent sexual crimes, requires mandatory registration for life.

The California Sex & Arson Registry (CSAR) must be registered with and then re-registered with whenever there is a change of address or contact information. Also, the registration must be redone every year regardless. Any failure to register will be a crime in itself under PC 290 and can carry severe penalties.

Most people listed on CSAR will also be listed on Meghan’s List online. This allows employers, those living nearby, and others to easily access information on the identity of those with sex offense convictions living in their area or applying for employment.

Legal Strategies To Fight Sex Crime Charges

We will look at actual defenses used against sex crime charges in the next section just below, but here, we will first look at some broader strategies. By engaging in all possible positive legal strategies early on, a good lawyer can often avert the need for an extended trial or any trial by winning a dismissal or gathering enough evidence to make the case unwinnable for the prosecution.

  • Negotiation with law enforcement. All too often, police arrest someone for a sex crime without knowing the facts of the case. They are interested in quelling an explosive situation and showing responsiveness to a complaint, but the guilty party (if any) may not have been arrested at all. A simple presentation of your side of the story to police can often induce them to drop the case immediately.
  • Private eyes. Many times, by timely and smart use of private investigators, we can clear up issues of mistaken identity or uncover false accusations for what they really are. Combing over the alleged crime scene, cross-examining witnesses, obtaining our own witnesses and evidence in your favor, or showing biases or a history of false accusations in a key witness or the arresting officer can all help.
  • Private polygraphs. Although lie detector tests are typically not allowed in court as evidence in California, we at Darwish Law know that a private polygraph test showing a good result for our client can still be useful. Revealing this kind of information to prosecutors in a timely and convincing way often convinces them to drop the charges against a client.
  • Pre-trial phase. The majority of sex crime allegations in California courts never even make it to trial. And the biggest reason is what happens in the pre-trial phase. Advocating for our clients pre-trial may result in a more lenient sentence, a dismissal, or the prosecution just backing out. A pre-trial motion can also help to win the case before any trial takes place by having evidence collected illegally declared inadmissible in court.
  • Plea bargain agreement. When a case can’t realistically be won outright, then the negotiation skills of the defense attorney come into play. A favorable plea deal can be worked out at various stages in the process - pretrial or post-trial. This kind of agreement may lead to a charge reduction and a lesser sentence.
  • Sentencing mitigation process. This is the time when your attorney will have the opportunity to present any mitigating factors in your favor that might induce the judge to impose a less severe sentence. If you were not aware you were committing a crime, do not possess a significant (or any) prior police record, have already made victim restitution, admitted your violation early in the process, or have already completed parole/probation, then the judge may be inclined to give you a sentence closer to the minimum than to the maximum.

Common Defenses Against Sex Crime Charges

When it comes to winning the trial itself, if your case even goes to trial, there are a number of common defense strategies we often use with great success. Here are our top 5 defenses against various sex crimes allegations:

  1. No sexual contact. It may be the whole alleged incident did not unfold as the accuser claims. Maybe there was a fight or disagreement or you were present at the scene - but nothing occurred of the sort being alleged.
  2. Consensual sex. It is not uncommon for those who engaged in fully consensual sex to later, out of revenge perhaps, claim it was rape. But merely saying it was nonconsensual doesn’t make it so. And even if you at least had a reasonable belief that the sex was consensual, you may still be found innocent.
  3. Lack of Evidence. You are innocent until proved guilty, even for sex crimes. If the prosecution’s case is weak, we will expose that fact and show that the evidence against you is inconclusive at best.
  4. False Accusation. Sex crimes are among the most-lied-about crimes in the state. A completely fabricated story is not as uncommon as you might think, but it can normally be exposed decisively in the pre-trial stage.
  5. Mistaken identity. An eyewitness may have wrongly identified you as the perpetrator. We can bring forward evidence to question his/her testimony.

Find A Solid Sex Crimes Defense Attorney Near Me!

At Darwish Law, we are well-seasoned sex crimes defense attorneys. We know the law and the courts and how to win. Our reputation in Santa Ana, and Orange County area speaks for itself.

Contact our Orange County criminal lawyer today, anytime 24/7, for a free no-obligation legal consultation by calling 714-887-4810. We can immediately get started on building you a solid defense!